Scope of coverage of the new MS Guidelines
What is market sounding? This refers to the communication of information with potential investors, prior to the announcement of a transaction, to gauge their interest in a possible transaction and assist in determining the terms and specifications related to it. Market soundings are typically conducted in connection with capital market transactions, such as private placements and "block trades".
Which market sounding-related transactions are covered? The MS Guidelines apply to market sounding conducted in connection with a possible transaction in shares listed on an exchange and in any other securities which is likely to materially affect the price of shares listed on an exchange.
What marketing sounding information is covered? This refers to confidential information that is entrusted to a Disclosing Person (see below) by a client, an issuer, or an existing shareholder selling or buying in the secondary market ("Market Sounding Beneficiary") during a market sounding. In determining whether information is "entrusted" to a Disclosing Person, one should consider whether the Disclosing Person has a duty of confidentiality to the Market Sounding Beneficiary. Examples of market sounding information include the following:
- The name of the subject security (or specific information that would allow that name to be deduced)
- The Market Sounding Beneficiary's identity
- The Market Sounding Beneficiary's intent to pursue a possible transaction
- The terms of or specifications related to the possible transaction (e.g., its potential timing, size, pricing, structure and trading method)
_Next to the entry, the page also holds records of molecules_
~~~
(1)
A structure of composition C5H6O. Source: the Open Molecules 2025 dataset; level of theory: wB97M-V/def2-TZVPD.

Calculated values
spin multiplicity = 1
orbital gap = 9.2 eV
ΔE to the lowest compared entry with this formula, charge and spin = 406.55 kJ/mol
total charge = 0

Geometry as XYZ:
```
12
Properties=species:S:1:pos:R:3:forces:R:3:lowdin_charge:R:1
C -1.0508 0.9345 0.2418 -0.03 0.05 -0.03 -0.029
C -0.3721 -0.3938 0.4846 -0.53 -0.16 0.34 -0.506
O -0.7932 -1.3525 1.0735 0.23 0.34 -0.24 0.042
C 0.4847 -0.8425 -1.2516 0.10 -0.05 -0.15 -0.009
C 1.3534 -0.4197 -0.2708 -0.03 0.14 0.31 -0.163
C 1.4537 0.0716 0.8743 0.17 -0.15 -0.31 0.127
H -2.0155 0.7418 -0.2360 0.14 0.00 0.06 0.092
H -0.4540 1.6018 -0.3796 -0.06 -0.13 0.10 0.086
H -1.2383 1.4071 1.2103 0.03 -0.08 -0.12 0.092
H 0.3148 -0.2115 -2.1210 0.03 -0.07 0.14 0.089
H 0.2928 -1.9057 -1.3583 0.03 0.15 0.03 0.096
H 2.0245 0.3689 1.7329 -0.09 -0.04 -0.13 0.084
```
Positions in Å, forces in eV/Å.

=====

(2)
An isolated molecule of C5H6O. Source: the Open Molecules 2025 dataset; level of theory: wB97M-V/def2-TZVPD.

Calculated values
spin multiplicity = 1
orbital gap (alpha / beta) = 7.8 / 7.8 eV
ΔE to the lowest compared entry with this formula, charge and spin = 454.32 kJ/mol
total charge = 0
SMILES string = C=C=C1O[C@H]1C

Geometry as XYZ:
```
12
Properties=species:S:1:pos:R:3:forces:R:3:lowdin_charge:R:1
C -1.3770 1.1287 -1.4882 -0.14 0.13 0.00 -0.008
C -0.0870 0.9813 -1.8500 -0.21 -0.06 0.19 -0.066
C 0.5790 0.2646 -0.9045 -0.06 -0.25 0.12 -0.333
O 1.7412 -0.2502 -0.5925 -0.20 0.03 -0.08 0.111
C 0.4863 -0.7470 0.1198 0.23 -0.29 0.13 -0.183
C 0.5678 -0.5156 1.6025 0.04 0.02 0.00 -0.038
H -1.6962 0.9578 -0.4543 -0.11 0.50 -0.02 0.062
H -2.1827 1.3510 -2.1836 0.13 -0.02 -0.09 0.048
H 0.1339 -1.7263 -0.1954 0.43 -0.07 -0.03 0.144
H -0.3652 -0.7582 2.1215 0.07 0.04 -0.23 0.085
H 0.8590 0.5089 1.8501 -0.09 -0.14 -0.13 0.091
H 1.3410 -1.1950 1.9745 -0.09 0.11 0.13 0.087
```
Positions in Å, forces in eV/Å.

=====

(3)
An isolated molecule of C5H6O at a distorted geometry. Source: the Open Molecules 2025 dataset; level of theory: wB97M-V/def2-TZVPD.

Calculated values
spin multiplicity = 1
orbital gap = 9.4 eV
ΔE to the lowest compared entry with this formula, charge and spin = 122.24 kJ/mol
total charge = 0
SMILES string = C=C1C=CCO1

Geometry as XYZ:
```
12
Properties=species:S:1:pos:R:3:forces:R:3:lowdin_charge:R:1
C 1.0941 -1.8337 0.0037 0.91 -1.29 -1.61 0.045
C 0.3567 -0.7428 -0.0050 -1.37 1.81 1.99 -0.408
C -0.5860 -0.1664 1.0388 -0.13 -1.92 0.67 -0.020
C -1.0135 1.0443 0.6654 0.20 -0.66 0.60 -0.071
C -0.3437 1.4037 -0.6202 0.39 -0.16 -0.37 -0.148
O 0.4270 0.2071 -0.9507 -0.32 1.07 -1.65 -0.053
H 1.1024 -2.5358 0.8273 -0.21 0.14 -0.10 0.052
H 1.6605 -2.1100 -0.9400 -0.56 0.48 1.47 0.087
H -0.8974 -0.8345 1.9150 0.45 1.47 -1.26 0.136
H -1.6888 1.6963 1.2249 0.24 -0.28 -0.34 0.111
H 0.4244 2.1899 -0.4718 -0.57 -0.09 -0.22 0.129
H -1.0626 1.7063 -1.4459 0.97 -0.57 0.81 0.140
```
~~~
_The entry goes on_
Who must comply? The MS Guidelines apply to SFC licensed or registered intermediaries who:
- Disclose market sounding information during the course of a market sounding ("Disclosing Person") – e.g., a sell-side broker sounding out potential investors, on behalf of a Market Sounding Beneficiary, about a possible transaction
- Receive Marketing Sounding Information during the course of a market sounding ("Recipient Person") - e.g., a buy-side firm that is sounded out by a Disclosing Person as a potential investor in a possible transaction,(each a "Market Sounding Intermediary")
### What comes next are quantum chemistry results, not part of the entry
- - -
Record 1
DFT (the ωB97M-V functional and the def2-TZVPD basis) results for a molecular structure, C12H11O5OsSTe.

Each line ends with the Löwdin charge.
Atoms and positions in Å:
1 Os 0.559 0.628 0.434  1.246
2 O 2.797 1.150 -2.818  0.204
3 C 1.998 0.604 -2.128  -0.521
4 O 2.059 0.599 -0.771  -0.209
5 C 0.812 -0.161 -2.682  -0.083
6 C 0.502 -1.411 -1.858  -0.207
7 C -0.462 -2.310 -2.622  -0.062
8 C -1.794 -1.506 -2.537  -0.060
9 C -1.382 -0.295 -1.704  -0.227
10 O -0.384 -0.884 -0.796  -0.281
11 C -0.545 0.639 -2.563  -0.087
12 C -0.401 2.013 -1.933  -0.511
13 O -0.420 3.016 -2.570  0.205
14 O -0.291 2.023 -0.572  -0.213
15 H 1.073 -0.382 -3.714  0.173
16 H 1.365 -1.906 -1.424  0.172
17 H -0.555 -3.268 -2.115  0.128
18 H -0.128 -2.483 -3.641  0.134
19 H -2.566 -2.077 -2.027  0.128
20 H -2.171 -1.205 -3.511  0.133
21 H -2.175 0.178 -1.133  0.169
22 H -0.993 0.814 -3.537  0.173
23 Te -0.808 -0.415 2.262  1.131
24 C -0.183 0.261 4.090  -1.033
25 C 0.805 1.157 4.434  -0.224
26 C 0.973 1.260 5.827  -0.160
27 C 0.111 0.450 6.515  -0.383
28 S -0.899 -0.444 5.489  0.967
29 H 1.380 1.719 3.711  0.100
30 H 1.697 1.898 6.310  0.118
31 H 0.026 0.339 7.585  0.084

* orbital gap (alpha / beta): 5.5607 / 5.5711 eV
* spin multiplicity: 1
* net charge: +1
* LUMO (alpha / beta): -6.512 / -6.502 eV

---

Record 2
DFT (the ωB97M-V functional and the def2-TZVPD basis) results for a molecular structure, C12H12BF2N2O5S.

Each line ends with the Löwdin charge.
Atoms and positions in Å:
1 C -3.823 -0.335 -1.915  -0.104
2 C -2.723 -1.350 -2.181  -0.236
3 C -1.829 -0.914 -3.314  -0.239
4 O -0.789 -1.840 -3.592  -0.129
5 C 0.492 -1.449 -3.119  -0.166
6 C 0.545 -1.182 -1.631  -0.165
7 C 0.576 -2.214 -0.749  -0.030
8 C 0.572 -1.976 0.653  -0.061
9 C 0.546 -0.728 1.177  -0.004
10 C 0.524 0.370 0.282  -0.333
11 N 0.484 1.667 0.588  -0.217
12 S 0.477 2.484 -0.767  1.005
13 N 0.495 1.272 -1.847  -0.226
14 C 0.530 0.156 -1.129  -0.334
15 H -4.430 -0.701 -1.092  0.069
16 H -4.464 -0.178 -2.777  0.069
17 H -3.401 0.604 -1.576  0.072
18 H -3.123 -2.340 -2.383  0.111
19 H -2.144 -1.441 -1.264  0.100
20 H -1.453 0.094 -3.155  0.109
21 H -2.450 -0.873 -4.212  0.121
22 H 0.881 -0.604 -3.684  0.118
23 H 1.145 -2.296 -3.307  0.120
24 H 0.579 -3.236 -1.092  0.117
25 H 0.597 -2.817 1.329  0.103
26 H 0.551 -0.552 2.240  0.094
27 B 2.857 3.231 4.853  -1.049
28 O 1.477 2.654 4.966  0.211
29 C 1.377 1.606 4.182  -0.417
30 O 0.406 0.904 4.047  0.102
31 C 2.719 1.404 3.468  -0.419
32 O 2.951 0.524 2.680  0.113
33 O 3.550 2.340 3.866  0.211
34 F 3.500 3.185 6.080  0.141
35 F 2.799 4.531 4.373  0.143

* orbital gap: 8.2923 eV
* spin multiplicity: 1
* net charge: -1
* LUMO: 1.849 eV

---

Record 3
DFT (the ωB97M-V functional and the def2-TZVPD basis) results for a single C12H12BN3O4S2 molecule.

Each line ends with the Löwdin charge.
Atoms and positions in Å:
1 O -1.704 -2.547 -1.385  -0.311
2 O 0.528 -2.448 -0.070  -0.333
3 O -3.347 3.042 3.334  0.139
4 O -1.240 3.198 4.566  0.163
- - -
### End of the quantum chemistry results
Generally speaking, the MS Guidelines apply to market sounding activities conducted in Hong Kong by Market Sounding Intermediaries. However, if an overseas affiliate or group company conducts a market sounding activity for or on behalf of or as delegated by a Market Sounding Intermediary, the Market Sounding Intermediary will be responsible for compliance with the MS Guidelines.
What are the key compliance requirements?
The MS Guidelines cover (a) four core principles (applicable to all Market Sounding Intermediaries), and (b) specific requirements (applicable to a Disclosing Person and a Recipient Person respectively).
Core Principles applicable to all Market Sounding Intermediaries
- CP1 Handling of information: Market Sounding Intermediaries should protect and safeguard the confidentiality of market sounding information. They should also ensure that there is an effective system of functional barriers to prevent inappropriate disclosure, misuse and leakage of market sounding information.
- CP2 Governance: Market Sounding Intermediaries should have robust governance and oversight arrangements to ensure effective management supervision over their market sounding activities, including (but not limited to):
- Designating a committee / persons with clearly defined roles, responsibilities and reporting lines to monitor market soundings in support of senior management oversight
- Developing and implementing managerial and supervisory processes, procedures and controls to ensure that matters related to market soundings are promptly brought to the attention of senior management and designated committee or person(s) for review and follow-up actions, where necessary
- CP3 Policies and Procedures: Market Sounding Intermediaries should establish and maintain effective policies and procedures specifying the manner and expectations of conducting their market soundings. These should be documented in writing, reviewed periodically, updated where necessary and address, amongst others, market sounding policies, identification and handling of market sounding information, allocation of roles and responsibilities among staff involved in market soundings, escalation protocols and record keeping, etc.
- CP4 Review and Monitoring Controls: Market Sounding Intermediaries should establish effective procedures and controls to monitor and detect suspicious behavior, suspected misconduct, inappropriate or unauthorized disclosure, misuse or leakage of market sounding information and non-compliance with internal guidelines related to market soundings.
Specific Requirements applicable to Disclosing Persons
## Records of molecules that have nothing to do with the text
____________
(1)
ORCA calculation (the ωB97M-V functional and the def2-TZVPD basis) on C32H22Cl6GeNOSV as an isolated structure.

Geometry as XYZ:
```
65
Properties=species:S:1:pos:R:3:nbo_charge:R:1
H -2.35308 0.77592 2.04449 0.21
Cl 3.73563 1.87821 -0.45936 0.05
C 2.39289 0.16107 1.04156 -0.35
N 2.49986 -1.38163 -1.43992 -0.67
H 2.38890 -4.99672 -0.10789 0.19
C -1.52453 1.39176 2.37920 -0.23
C -4.73204 0.28691 -1.25868 -0.21
H 2.98626 4.21912 -3.82360 0.22
C 3.41758 1.18198 3.47203 -0.08
H -0.61782 -3.38683 0.64931 0.22
H 1.38670 3.58977 3.62257 0.22
H -4.69152 3.31565 -2.77092 0.22
C 0.03960 -0.53227 -0.66823 -0.72
C -3.41959 0.24841 -0.81230 -0.22
C 2.50984 0.12151 3.47597 -0.11
C 2.01297 -0.36954 2.26972 0.05
C 0.06456 -6.02281 -1.34649 -0.13
Cl 1.99572 -0.53494 4.98084 0.06
C -2.55284 1.31347 -1.05612 -0.35
C -2.25987 -5.94738 -0.80166 -0.03
H 2.55689 1.80487 -4.20224 0.23
H -2.90037 -4.35101 0.47041 0.23
C -4.33684 2.45589 -2.21707 -0.21
H -5.39547 -0.54625 -1.06514 0.22
C -1.20587 -6.56224 -1.46028 -0.25
H -0.25550 2.68774 5.23914 0.22
C 0.56625 2.97187 3.27714 -0.22
H -3.06799 -0.62843 -0.27861 0.21
C 1.65831 -4.27809 -0.48861 -0.10
C 3.30788 1.19250 1.10001 0.02
Ge -0.73186 1.24444 -0.38219 1.52
Cl 4.92748 3.05757 2.21505 0.05
C 1.63336 4.34534 -2.15738 -0.20
C -5.19167 1.39267 -1.96233 -0.19
H -6.21437 1.42252 -2.31516 0.21
H 1.19945 3.05309 1.24456 0.21
H -2.12848 1.28201 4.43394 0.22
Cl 4.00536 1.83652 4.94696 0.06
C 0.28762 -4.87645 -0.59115 -0.07
S 3.25424 -2.74029 -1.84438 0.79
C 2.29074 3.68270 -3.19154 -0.20
Cl 0.85932 -1.66431 2.32770 0.02
C 1.15241 1.66646 -2.58227 -0.29
H 1.63736 -3.40767 0.16834 0.20
C 0.48214 2.31048 -1.52827 -0.44
H 1.82232 5.39870 -1.99224 0.22
H 0.25218 4.20674 -0.53320 0.22
Cl -3.85758 -6.62169 -0.93737 0.00
C 2.05232 2.33613 -3.40594 -0.16
C 3.83300 1.73214 2.26175 -0.12
H 0.89402 -6.49307 -1.86063 0.21
H -0.59210 -1.41204 -0.72194 0.22
C -2.06437 -4.81078 -0.03836 -0.22
C -1.40554 1.67760 3.73205 -0.20
C -0.59304 1.87269 1.45913 -0.37
C 0.44946 2.66952 1.92714 -0.24
H -2.36346 3.24881 -1.97552 0.21
C -3.02465 2.41503 -1.76492 -0.23
H 0.92377 0.60400 -2.81112 0.25
O 2.06947 -3.87468 -1.81311 -0.68
C -0.35608 2.46758 4.18407 -0.20
H -1.38459 -7.45088 -2.04937 0.23
C 0.74782 3.66903 -1.33302 -0.14
V 1.71299 -0.01942 -0.93186 0.60
C -0.78555 -4.27896 0.05727 -0.19
```

Values from the calculation:
molecular weight: 804.9 u
charge: 0
highest occupied orbital energy: -7.8425 eV
LUMO level: -0.463 eV
total energy: -205249.349 eV
Kohn-Sham gap: 0.2712 Eh

(2)
ORCA calculation (the ωB97M-V functional and the def2-TZVPD basis) on C32H31AlAsO8P2S2 as an isolated structure.

Geometry as XYZ:
```
77
Properties=species:S:1:pos:R:3:lowdin_charge:R:1
C 0.26453 4.69747 -0.73328 -0.11
S 2.79445 1.50888 -1.31987 0.80
C -1.25075 0.85154 -2.68319 -0.12
C -2.92429 -2.31848 1.78727 -0.08
C -2.26297 -2.12692 0.58383 -0.37
H -1.21469 4.48568 3.99558 0.11
C -1.50778 3.64546 3.38038 -0.07
C -3.46147 1.12615 -3.57956 -0.07
____________
Before initial contact with Recipient Persons or other potential investors to conduct market sounding, Disclosing Persons should:
- Obtain the corresponding Market Sounding Beneficiary's consent to engage in market soundings.
- Determine in advance, on a case-by-case basis, a standard set of information to be disclosed to Recipient Persons or other potential investors, the appropriate timing to conduct market soundings and a suitable number of Recipient Persons or other potential investors to contact.
In conducting marketing sounding, Disclosing Persons must comply with the following requirements:
- Perform market soundings only through communication channels authorized by senior management or independent functions (e.g., Legal and Compliance).
- Adopt standardized script pre-approved and reviewed by senior management or independent functions during market sounding communications (and the script should comply with minimum content requirements specified in the MS Guidelines).
- Maintain certain records in relation to market sounding prescribed in the MS Guidelines for at least 2 years.
Specific Requirements applicable to Recipient Persons
Recipient Persons are required to:
- Authorize a person who is familiar with their internal market sounding policies, and inform Disclosing Persons of such arrangement when being contacted by them.
- Inform Disclosing Persons whether or not they wish to receive market soundings in relation to all or particular types of possible transactions.
- If a Disclosing Person does not specify whether the communication is a market sounding, use reasonable efforts to verify whether it is in possession of market sounding information.
Key takeaways
If you are buy-side or sell-side who may disclose or receive market sounding information during the course of a market sounding, you should get yourselves prepared before 2 May 2025 by formulating the governance structure and the policies and procedures. There is no "one-size-fits-all" and each firm and its senior management must decide and determine the appropriate controls to achieve the compliance objective of the MS Guidelines.
For detailed guidance and compliance assistance, please contact us.